New Delhi: Following the success of “Scam 1992,” the Scam franchise is back with “Scam 2003 – The Telgi Story.” This time, Tushar Hiranandani directs. The series delves into the life of Abdul Karim Telgi, mastermind of India’s largest stamp paper scam. Given their shared franchise, comparisons between the two stories are inevitable.
Scam 2003 – The Telgi Story Storyline
+++
The following is a calculated powder X-ray diffraction pattern of BaNaFe2F9. It was derived from a structure optimized by DFT (PBE+U), using Cu Kα.
Kinematic intensities with the Lorentz-polarization factor, no thermal factor.

Largest 8 diffraction maxima, most intense first, 10° ≤ 2θ ≤ 80°:
Position (°2θ), d/Å, I (rel.)
26.21, 3.400, 100
43.16, 2.096, 70
24.60, 3.619, 48
25.33, 3.517, 48
30.73, 2.910, 42
28.25, 3.159, 41
25.67, 3.470, 41
33.13, 2.704, 40

Structural model:
```
52
Lattice="5.410 0.000 0.000 0.000 17.465 0.000 -5.247 0.000 7.399" Properties=species:S:1:pos:R:3 pbc="T T T"
Ba -1.409 3.764 3.174
Ba -4.032 4.969 6.873
Ba 4.195 12.496 0.526
Ba 1.572 13.701 4.225
Na -3.913 9.441 6.012
Na -1.290 16.756 2.313
Na 1.453 0.709 5.086
Na 4.076 8.024 1.386
Fe -1.392 10.839 4.373
Fe 1.231 15.359 0.674
Fe 1.461 1.387 1.657
Fe -1.162 7.346 5.357
Fe 1.325 10.119 2.042
Fe -1.298 16.078 5.741
Fe -1.068 2.106 6.725
Fe 1.555 6.626 3.026
F 0.437 1.331 0.010
F -2.187 7.401 3.709
F 0.281 10.144 0.491
F -2.342 16.053 4.191
F -1.562 12.369 3.293
F -4.186 13.829 6.992
F -2.479 11.588 5.713
F 0.144 14.609 2.014
F -2.589 2.815 5.889
F 0.034 5.917 2.190
F -0.351 9.925 3.024
F -2.974 16.272 6.723
F -0.103 1.406 2.679
F -2.726 7.326 6.378
F 1.557 3.250 1.606
F -1.066 5.483 5.306
F -1.213 9.281 5.513
F 1.410 16.917 1.814
F -1.247 0.548 5.585
F 1.376 8.184 1.885
F 1.229 11.982 2.093
F -1.395 14.215 5.792
F 2.889 10.139 1.021
F 0.266 16.058 4.720
F 3.137 1.193 0.676
F 0.514 7.539 4.375
F 0.128 11.548 5.209
F 2.752 14.650 1.509
F 0.018 2.856 5.385
F 2.642 5.877 1.686
F 4.348 3.636 0.406
F 1.725 5.096 4.106
F 2.505 1.412 3.208
F -0.118 7.320 6.907
F 2.350 10.064 3.689
F -0.274 16.134 7.389
```



The following is a calculated powder X-ray diffraction pattern of P3W2O13. It was derived from a structure optimized by DFT (PBE+U), using Cu Kα.
Kinematic intensities with the Lorentz-polarization factor, no thermal factor.

Largest 8 diffraction maxima, most intense first, 10° ≤ 2θ ≤ 80°:
Position (°2θ), d/Å, I (rel.)
17.89, 4.958, 100
16.94, 5.234, 96
20.67, 4.297, 86
12.84, 6.894, 53
21.04, 4.222, 52
28.37, 3.146, 51
29.01, 3.078, 50
20.00, 4.439, 42

Structural model:
```
36
Lattice="6.447 0.000 0.000 1.552 6.966 0.000 0.618 1.782 12.313" Properties=species:S:1:pos:R:3 pbc="T T T"
P 1.666 3.353 4.292
P 3.756 8.424 10.810
P 3.145 5.764 3.872
P 5.472 2.984 8.442
P 4.861 0.324 1.503
P 6.951 5.395 8.022
W 1.642 1.410 1.553
W 2.204 2.481 7.619
W 6.413 6.267 4.695
W 6.975 7.338 10.760
O 2.036 6.291 4.782
O 1.798 4.615 7.966
O 2.509 7.495 10.794
O 1.554 2.076 3.399
O 1.718 2.988 0.859
O 2.153 2.510 9.720
O 2.250 2.943 5.625
O 2.269 2.145 12.194
O 3.232 6.483 2.525
O 2.777 4.227 3.515
O 3.935 7.723 7.536
O 4.455 5.707 4.634
O 4.991 7.492 10.705
O 3.626 1.256 1.608
O 4.161 3.041 7.679
O 4.682 1.025 4.778
O 5.839 4.520 8.799
O 5.385 2.265 9.789
O 6.347 6.603 0.120
O 6.366 5.804 6.688
O 6.463 6.238 2.593
O 6.899 5.760 11.454
O 7.063 6.672 8.914
O 6.107 1.253 1.520
+++
Abdul Karim Telgi, an ambitious and educated individual, faces obstacles in achieving his dreams until he seizes an opportunity to move to Mumbai. His life takes a drastic turn in the bustling city, leading him to venture into counterfeiting. Starting with fake passports, he eventually delves into the lucrative world of forging stamp papers on a large scale. The intriguing story unfolds as Telgi aims to achieve wealth through his illegal activities. Discover the captivating journey in this show.
Based on real-life events and Sanjay Singh’s book “Telgi Scam: Reporter Ki Diary,” the initial episode of Scam 2003 – The Telgi Story delves into the captivating world of crime. Written by Kiran Yadnyopavit, Kedar Patankar, and Karan Vyas, the show successfully delivers a fast-paced and thrilling narrative, swiftly transitioning from one crucial moment to the next. The makers deserve praise for keeping the audience engaged and engrossed right from the opening episode, setting the stage for a captivating viewing experience.
Gagan Dev Riar shines as Abdul Karim Telgi in “Scam 2003 – The Telgi Story.” His portrayal is convincing and captures the character’s nuances flawlessly. He effortlessly embodies the different phases of Telgi’s journey, evoking a range of emotions from viewers. The supporting cast, including Bhavana Balsavar, Bharat Jadhav, Shashank Ketkar, and Sameer Dharmadhikari, also deliver commendable performances in their respective roles.
Hansal Mehta successfully meets expectations with Scam 1992, depicting the complexities of the ‘tainted’ crime drama. The visually appealing shots and attention to locations enhance the viewing experience. The directors’ dedication to portraying an ordinary man with extraordinary thoughts is impactful, earning them full marks for their vision.
Scam 1992’s second installment uses the original title theme created by Achint Thakkar. This decision allows the audience to immediately connect with the brilliance of the first part, benefiting the overall franchise. The background music adds intrigue and suspense to the narrative, perfectly complementing Abdul’s determination to make money.
____________
# 1
Structure and simulated X-ray diffraction stick pattern of Ba2ScPd2O6 (the GGA-PBE geometry in Alexandria; Cu Kα, 1.54184 Å).
Peak positions follow from Bragg's law for the DFT cell and can differ from measured ones.

```
data_Ba2ScPd2O6
_chemical_formula_sum 'Ba6 Sc3 Pd6 O18'
_space_group_name_H-M_alt 'R -3 m'
_space_group_IT_number 166
_space_group_name_Hall '-R 3 2"'
_cell_length_a 6.1068
_cell_length_b 6.1068
_cell_length_c 17.1306
_cell_angle_alpha 90.00
_cell_angle_beta 90.00
_cell_angle_gamma 120.00
loop_
_atom_site_label
_atom_site_type_symbol
_atom_site_fract_x
_atom_site_fract_y
_atom_site_fract_z
Ba1 Ba 0.0000 0.0000 0.2172
Sc1 Sc 0.0000 0.0000 0.0000
Pd1 Pd 0.0000 0.0000 0.4124
O1 O 0.0382 0.5191 0.7503
```

Most intense lines, 10° ≤ 2θ ≤ 90°, in order of rising 2θ:
| Position (°2θ) | I (rel.) |
| --- | --- |
| 29.25 | 100 |
| 31.10 | 72 |
| 31.33 | 15 |
| 43.22 | 31 |
| 43.39 | 14 |
| 51.86 | 19 |
| 53.04 | 37 |
| 60.66 | 17 |
| 69.74 | 14 |
| 83.83 | 10 |

# 2
Structure and simulated X-ray diffraction stick pattern of CeTl5Te5 (the GGA-PBE geometry in Alexandria; Cu Kα, 1.54184 Å).
Peak positions follow from Bragg's law for the DFT cell and can differ from measured ones.

```
data_CeTl5Te5
_chemical_formula_sum 'Ce2 Tl10 Te10'
_space_group_name_H-M_alt 'C 1 2/m 1'
_space_group_IT_number 12
_space_group_name_Hall '-C 2y'
_cell_length_a 15.3753
_cell_length_b 6.4355
_cell_length_c 9.6081
_cell_angle_alpha 90.00
_cell_angle_beta 109.36
_cell_angle_gamma 90.00
loop_
_atom_site_label
_atom_site_type_symbol
_atom_site_fract_x
_atom_site_fract_y
_atom_site_fract_z
Ce1 Ce 0.0000 0.0000 0.0000
Tl1 Tl 0.0000 0.0000 0.5000
Tl2 Tl 0.1792 0.5000 0.8478
Tl3 Tl 0.1873 0.5000 0.3155
Te1 Te 0.0000 0.5000 0.0000
Te2 Te 0.1494 0.0000 0.8460
Te3 Te 0.1503 0.0000 0.3083
```

Most intense lines, 10° ≤ 2θ ≤ 90°, in order of rising 2θ:
| Position (°2θ) | I (rel.) |
| --- | --- |
| 23.06 | 47 |
| 25.88 | 93 |
| 26.42 | 100 |
| 27.72 | 94 |
| 37.19 | 32 |
| 37.45 | 35 |
| 38.29 | 68 |
| 38.67 | 73 |
| 47.01 | 33 |
| 47.23 | 37 |

# 3
Structure and simulated X-ray diffraction stick pattern of Tb2Al3Zn4Ag (the GGA-PBE geometry in Alexandria; Cu Kα, 1.54184 Å).
Peak positions follow from Bragg's law for the DFT cell and can differ from measured ones.

```
data_Tb2Al3Zn4Ag
_chemical_formula_sum 'Tb2 Al3 Zn4 Ag1'
_space_group_name_H-M_alt 'P -4 m 2'
_space_group_IT_number 115
_space_group_name_Hall 'P -4 -2'
_cell_length_a 4.2059
_cell_length_b 4.2059
_cell_length_c 10.7787
_cell_angle_alpha 90.00
_cell_angle_beta 90.00
_cell_angle_gamma 90.00
loop_
_atom_site_label
_atom_site_type_symbol
_atom_site_fract_x
_atom_site_fract_y
_atom_site_fract_z
Tb1 Tb 0.0000 0.5000 0.2439
Al1 Al 0.0000 0.5000 0.8661
Al2 Al 0.5000 0.5000 0.5000
Zn1 Zn 0.0000 0.0000 0.0000
Zn2 Zn 0.0000 0.5000 0.6412
Zn3 Zn 0.5000 0.5000 0.0000
Ag1 Ag 0.0000 0.0000 0.5000
```

Most intense lines, 10° ≤ 2θ ≤ 90°, in order of rising 2θ:
| Position (°2θ) | I (rel.) |
| --- | --- |
| 22.69 | 24 |
____________
Back to the text:
The show loses pace in the second and third episodes, impacting its overall engagement. The multiple layers and explanations in the narrative take away from the charm of a captivating crime-thriller. However, the pace picks up again in the fourth episode of this 5-episode series. Yet, the episodes could have been more concise and crisper.
### Records of crystals from another source follow
Starting from the PBE geometry in OQMD, the XRD peak list of ZrScCoB was computed for Cu Kα (weighted mean of Kα1 and Kα2).
Kinematic intensities with the Lorentz-polarization factor, no thermal factor.

Main lines, by angle (2θ = 5–70°):
index	2theta	d (Å)	intensity
1 1 1	25.6	3.478	46
2 2 0	42.4	2.130	100
3 1 1	50.2	1.816	22
4 0 0	61.6	1.506	15
3 3 1	67.8	1.382	9

Cell and atoms:
```
data_ZrScCoB
_chemical_formula_sum 'Zr4 Sc4 Co4 B4'
_space_group_name_H-M_alt 'P 1'
_space_group_IT_number 1
_cell_length_a 6.024
_cell_length_b 6.024
_cell_length_c 6.024
_cell_angle_alpha 90.00
_cell_angle_beta 90.00
_cell_angle_gamma 90.00
loop_
_space_group_symop_operation_xyz
'x,y,z'
loop_
_atom_site_label
_atom_site_type_symbol
_atom_site_fract_x
_atom_site_fract_y
_atom_site_fract_z
_atom_site_occupancy
Zr1 Zr 0.000 0.000 0.000 1
Zr2 Zr 0.000 0.500 0.500 1
Zr3 Zr 0.500 0.000 0.500 1
Zr4 Zr 0.500 0.500 0.000 1
Sc1 Sc 0.250 0.250 0.250 1
Sc2 Sc 0.250 0.750 0.750 1
Sc3 Sc 0.750 0.250 0.750 1
Sc4 Sc 0.750 0.750 0.250 1
Co1 Co 0.250 0.250 0.750 1
Co2 Co 0.250 0.750 0.250 1
Co3 Co 0.750 0.250 0.250 1
Co4 Co 0.750 0.750 0.750 1
B1 B 0.000 0.000 0.500 1
B2 B 0.000 0.500 0.000 1
B3 B 0.500 0.000 0.000 1
B4 B 0.500 0.500 0.500 1
```
### The article goes on
Karan Vyas’ dialogue in the series is average, with only a few standout lines. The cliffhanger at the end of the fifth episode feels weak and not particularly challenging for Abdul Karim Telgi to overcome in volume 2.
“Scam 2003 – The Telgi Story” captures the world of Telgi with sincerity, but falls short of the charm seen in its predecessor, “Scam 1992.” However, it remains a gripping drama that is worth watching. If you want to experience Abdul’s story firsthand, this cinematic marvel is a compelling choice.